Exploring YOUR inner-self through Vocal Profiling

Thank you for taking the opportunity to experience the nVoice™ computer program. As you speak into the microphone, the computer will catalog your words into musical note patterns. Your print-out will reflect the twelve notes of the musical scale – C, C#, D, D#, E, F, F#, G, G#, A, A# and B; plus the octave(s) in which you speak. The notes, octaves and general architecture of your vocal graph are used to create a computerized nVoice Personality Profile interpretation for you. Each of these notes has general characteristics which are explained in the chart below. The database used for your analysis has been developed over the last twenty years as we collected data. We would appreciate feedback as to how you think your profile matches the REAL you.

For this particular type of vocal profiling, your emotions can greatly influence the interpretation. If you would like information about a variety of subjects, take several voice samples; keeping with one subject for each voice sample. Every print-out will be “flavored” by the subject you talk about.

Remember that each written report will reflect what you say as well as what you don’t say.

Sometimes you will find conflicting statements on a report. This indicates that these same conflicts reside within your own personality. As you talk about different subjects you will be able to determine the conflicts and joys of each subject.

If you doubt the accuracy of your nVoice Personality Profile, ask a friend who will tell you the truth about how you are perceived by others.

We hope you will be delighted Beyond Words by your Personalized nVoice Personality Profile


DOB: 10/26/1947

Quantum chemistry results, as found in the file:
********
# C30H40HgN6OS5

C30H40HgN6OS5 as an isolated structure (ωB97M-V/def2-TZVPD, the OMol25 dataset).

Calculated values
2S+1   2
Frontier orbital gap (spin up / spin down)   5.7 / 6.4 eV
Net charge   -1

```
83
Properties=species:S:1:pos:R:3:forces:R:3
Hg 0.050612 0.334565 -0.904389 0.0 0.0 -0.1
C 0.806428 -3.133957 1.655948 -0.3 0.3 0.0
N 0.113586 -1.855274 1.843644 0.0 -0.2 -0.3
C -1.333443 -1.986793 2.042252 0.2 0.1 0.0
C -2.190949 -2.353607 0.852542 -0.1 -0.2 -0.3
C -2.970888 -3.506957 0.907182 0.2 -0.1 0.0
C -3.765251 -3.850510 -0.171118 -0.1 -0.1 0.0
C -3.781852 -3.022316 -1.276053 -0.1 0.0 0.0
C -3.012038 -1.871084 -1.229801 0.0 0.3 0.0
N -2.248246 -1.526871 -0.200208 0.2 -0.3 0.4
C 0.638810 -1.106658 2.972098 -0.1 0.0 -0.2
C 2.090821 -0.690939 2.930689 0.2 0.0 -0.2
C 2.636181 -0.091538 4.068416 0.0 0.1 0.1
C 3.963584 0.292116 4.065177 0.0 0.0 0.0
C 4.728199 0.047378 2.932373 0.0 0.0 0.0
C 4.101456 -0.541825 1.848750 0.1 0.0 0.0
N 2.817441 -0.890943 1.835055 -0.1 -0.1 0.1
C 0.614164 -3.745011 0.286935 -0.1 0.1 0.0
C 0.075303 -5.013152 0.105365 0.0 -0.1 0.0
C -0.025138 -5.523654 -1.179170 0.0 0.1 0.0
C 0.390502 -4.741874 -2.244725 0.0 -0.1 0.0
C 0.900551 -3.480308 -1.970401 0.1 0.0 0.1
N 1.032891 -3.006250 -0.738649 0.0 0.2 0.0
H 0.522393 -3.862132 2.438540 0.0 0.0 0.0
H 1.869471 -2.921828 1.736944 0.0 -0.1 0.1
H -1.697758 -1.019065 2.384931 0.0 0.1 0.1
H -1.525483 -2.723826 2.843160 -0.1 0.0 0.0
H -2.938743 -4.144195 1.782523 0.1 0.0 0.0
H -4.362366 -4.754198 -0.144139 0.0 0.0 0.0
H -4.392459 -3.242015 -2.141311 0.0 0.0 0.0
H -3.027733 -1.164118 -2.053000 0.0 0.0 0.0
H 0.482580 -1.657963 3.920271 0.0 0.1 0.0
H 0.049821 -0.185899 3.031997 0.0 0.0 0.1
H 2.012032 0.084854 4.935937 0.0 0.0 0.0
H 4.406720 0.767413 4.931566 0.0 0.0 0.0
H 5.776864 0.310196 2.891144 0.0 0.0 0.0
H 4.658644 -0.767626 0.944995 0.0 0.1 0.0
H -0.259865 -5.592741 0.956681 0.0 0.0 0.0
H -0.430803 -6.514393 -1.344467 0.0 0.0 0.0
H 0.326987 -5.103732 -3.262303 0.0 0.0 0.0
H 1.234590 -2.819032 -2.764041 -0.1 0.0 0.0
C 3.012348 1.021837 -2.878704 -0.1 0.1 0.1
N 2.192886 2.178935 -3.176820 0.0 0.0 -0.2
C 1.867834 2.227869 -4.587574 0.0 0.0 0.1
C 2.800508 3.409994 -2.720416 -0.1 0.0 0.2
C 2.862510 3.550336 -1.200432 0.0 -0.1 -0.1
N 1.599264 3.348553 -0.522209 0.2 0.2 0.0
C 0.522539 4.167342 -1.037832 0.0 -0.2 0.0
C 1.767400 3.558521 0.900489 -0.1 -0.1 0.0
H 4.040869 1.131322 -3.273287 0.0 0.0 0.0
H 2.555622 0.137453 -3.322272 0.0 0.0 0.1
H 3.057039 0.869084 -1.802025 0.0 -0.1 0.0
H 2.764235 2.269404 -5.234000 0.0 0.0 0.0
H 1.252895 3.104278 -4.800263 0.0 0.0 0.0
H 1.293654 1.338622 -4.851896 0.0 0.0 -0.1
H 2.219038 4.243139 -3.121805 0.0 0.0 -0.1
H 3.835453 3.519095 -3.102443 0.0 0.0 0.0
H 3.283359 4.555888 -0.989644 0.0 0.0 0.0
H 3.564274 2.820110 -0.785520 0.1 0.1 0.0
H 0.750462 5.248878 -0.983665 0.0 0.0 0.0
H -0.373432 3.966563 -0.449277 0.0 0.0 0.0
H 0.318315 3.893801 -2.073169 0.0 0.0 0.0
H 2.056248 4.600874 1.136353 0.0 0.0 0.0
H 2.544941 2.893928 1.278470 0.0 0.0 0.0
********

Recording Date: 04/16/2007

Subject/Topic: The vocal sample used concerned a proposed new GI Bill of Rights for troops and veterans that was provided to uTube by Clinton’s campaign

Manual evaluation of the speech by a BioAcoustic Biology Professional

Senator Clinton is a multi-tasking individual who thinks on many levels simultaneously. The first multi-concern exhibited in this chart is physical results, what the actions of those results will produce and what is needed to achieve those results. There is overall balance in the chart by both depth and breath of interest. Planning does not involved a personal physical influence but is dictated by processing the emotions and opinions of others. There is individual unbalance in leadership and justice issues. The conflict concerns heightened self emotions as compared to physical and intellectual issues that should be considered.

This chart indicates Senator Clinton does most of what she does to create physical results but there is also a need to be seen as a humanitarian. This is the most balanced part of the chart. The action result of carrying out her plans will not depend on her physical strength but on the strength of the opinions about her and her ability to use the emotions of others to influence an outcome.

This person is capable of words without spirit. Self approval is stimulated in many ways from many levels. In talking about legislation from this vocal sample, there is high control energy with words that contain little inner emotive content.

Computer generated report hereafter


DOB: 10/26/1947

Recording Date: 04/16/2007

Subject/Topic: traumatic brain injury for soldiers

Points of Importance, Attention and Consequence

You want everything done but you do so much that some things don't get done on time. You can be fussy. It needs to satisfy you and no one else. Sometimes you spend a lot of energy on trying not to do something.

You like control of your physical environment. Your stamina to get things accomplished is admirable.

You have an unusual sense of time. Not having all the information needed to make a decision stresses you more than it does others. Your reputation is very important to you. You will go to great lengths to protect it.

Your highest note is associated with the expression of physically prioritizing what you need and want to accomplishment.. Personal control over what happens in your physical environment resides with this note.

Your highest note is associated with the expression of what you consider to be your physical domain. Having dominion over your physical environment resides with this note.

Your highest note is associated with the expression of your internal perspective of insight and self awareness. Internal faith, fairness and fulfillment resides with this note.

You are often haunted by thoughts of what you should have done. You may be caught once in a situation but you aren't often caught twice without a proper answer. You are often distressed by verbal arguments and loud talking. People who use their position of authority to manipulate others disgust you. You often think you should do more than you have time to accomplishment.

The right words at the right time can elude you. You would rather not talk than say something useless.

You tend to do too much for others in the hopes of becoming important to them. You do for others before you do for yourself. It is a struggle sometimes to decide what you really think and what part belongs to someone else. Defining your own ideals and what you want from life is the first step to not following a wrong road. You can see what is the best for others but don't always see what is the best for you. You tend to learn by example.

Points of Communication, Complications and Complaints

Your desire to help others is admirable. Without appreciation you can become introverted.

You have the ability to organize and prioritize in your head. It may not look that way to others but it is your mode of operation. You like to organize yourself so that everything is at hand and easy to utilize. It is particularly bothersome when people use or borrow your property without permission.

Being able to appreciate your environment is important to you. Comfort in your environment needs to be balancing with pleasing colors and functionality. You like your working environment to be efficient with things readily available.

Seeing every side of an issue is important to making the right decision that is for the betterment of all concerned. You can easily put yourself aside for the benefit of others. You can be good counsel for others if you allow them to keep their own systems in tact and not insist they follow yours.

You hope for the best which sometimes leads to statements of hope instead of statements of fact. You may need more than one chance to express yourself to get it right. Practice speaking your ideas before you talk. Meditating about a situation or playing it over in your mind will clarify your stance and help you clearly represent your ideas. Being in stress will likely affect your breathing. You trust until you get hurt when making people earn your trust is more logical.

You like praise but don't always know how to accept it gracefully. You don't always know what words to use to express what you need. You wish someone could understand you without demanding a lot of conversation.

You can be talked out of your own opinions. You can sometimes feel criticism too quickly. You can be very hard on yourself - taking blame or responsibility - that does not really belong to you. You sometimes fail to defend yourself because you don't want to criticize the opinions of others. Your self approval could be stronger if you would learn that doing for others too quickly is not good for them.

Points of Cooperation, Learning, Opportunity and Growth

You like reciprocal relationships but often give more than you receive. You can be incredibly generous if your generosity is appreciated. You give of your time and organizational skills easily for a good cause.

You have a natural knack for planning. You like helping others do for themselves. Working for a cause usually puts you out front because of your organizational abilities.

You have the power and ability to get things done. You sometimes take on more than you can do. You have pride and patience to see the best job done.

You are willing to take the lead to get things done. Your ability to have an idea and get it done is admirable. You have a balance between your need to have credit for accomplishments and your ability to get things done. You tend to let your accomplishments speak for you.

You love truth and justice and try hard to see that people are compensated for their efforts. You love a happy ending and like to think the world is fair and balanced. Your strong sense of justice needs a cause/outlet. Your are likely to fight for the rights of others than for yourself.

You have a tendency to fight authority when threatened. You work hard to see that justice is included in those around you. You can become physically weak when people take advantage of you or yours but only after you have taken care of the situation. You love justice and truth and work hard to see that these qualities are upheld. You love a happy ending that includes justice, physical restitution and emotional fulfillment.

Organizing your space in your own way is important to you. You delight in seeing the results of what you have physically accomplished. You enjoy the company of people who are comfortable with the natural environment. You have many physical sides that you present at your whim.

You have the intuitional ability to hear beyond the words people are speaking. You are guided by an inner source of strength. Actively seeking the answers of life is a priority to you.

Your sense of self power is combined with strong sense of justice. You will help once but insist that people learn to help themselves. Playing emotional games is not your style.

You are often too busy to think about or plan for the unexpected. Carrying the burden of thinking about it all and doing it all at the same time is heavy. Stress about getting it done can keep you from having the energy to complete the task.

You want it done right the first time. You have the ability to see what won't work when others present you with a plan. You like verbal excitement via words and music.

Your self approval often depends on appreciation from others. To your own detriment, you let the opinions of others become too important. You would rather take criticism than give it. Not knowing the why of a situation can cause you great stress.

Doing for others gives you satisfaction A balance between giving and receiving is not always easy for you. You often give more than you receive in return.

Your stamina to get things done is admirable. Others see you as a balanced and busy person. Your motivation sets a good example.

This note being low may cause issues with oxygenation to the cells. Identifying which foods are most compatible with you is important to your digestive health. The process of digestion needs to be considered via enzyme evaluation.

Expressing your true emotions is rare for you. You would just as soon that people keep their opinions about you to themselves. You would feel uncomfortable getting gussied-up to give a speech or run a meeting.

You strive to bring together what others think of you with what you think of you. You can second guess yourself in a heartbeat. You let others convince you that your feelings are in error because you care about them and their opinions.

Sound Health www.VocalProfiling.com www. Jbab.org

Original concept copyright, 1992 copyright, Sharry Edwards, 2004 ALL RIGHTS RESERVED